Ainos National Park
Mt. Ainos National Park was founded in 1962, mainly in order to protect what was left of the once flourishing and magnificent forest, consisting almost entirely of one of the finest forest tree species, i.e. the Cephalonian Fir (Abies cephalonica). It was righteously declared as a National Park, since the mountain is, according to International Code of Botanical Nomenclature, the locus classicus of the Cephalonian Fir, which is a Greek endemic species,. Moreover, the whole ecosystem of Mt. Ainos has a significant scientific and aesthetic value, being situated in the heart of Cephalonia island, right at the center of the island rich biodiversity.
The National Park of Cefalonia consists of an area of 2.862 ha, which expand at the mountain Ainos and at the adjacent mountain Roudi. Mt. Ainos with an alt. of 1.628 m is the tallest mountain in the Ionian Islands, whereas Mt. Roudi reaches an alt. of 1.125 m.
-- Someone pasted calculated crystals at this point --
........
First-principles (PBE+U) data for a geometry-optimized Rb3CoO2 structure, as listed in Alexandria.

Cell lengths 6.284, 7.810, 12.469 Å; angles 90.00, 90.00, 90.00 degrees
Atoms (fractional coordinates):
Rb  0.774  0.750  0.899
Rb  0.274  0.250  0.601
Rb  0.226  0.250  0.101
Rb  0.726  0.750  0.399
Rb  0.318  0.500  0.862
Rb  0.818  0.500  0.638
Rb  0.682  0.000  0.138
Rb  0.182  0.000  0.362
Rb  0.682  0.500  0.138
Rb  0.182  0.500  0.362
Rb  0.318  0.000  0.862
Rb  0.818  0.000  0.638
Co  0.307  0.750  0.619
Co  0.193  0.750  0.119
Co  0.807  0.250  0.881
Co  0.693  0.250  0.381
O  0.590  0.250  0.972
O  0.090  0.750  0.528
O  0.410  0.750  0.028
O  0.910  0.250  0.472
O  0.016  0.250  0.785
O  0.484  0.250  0.285
O  0.516  0.750  0.715
O  0.984  0.750  0.215

Values from the calculation:
- V (Å³ per cell) = 612
- mass density (g/cm³) = 3.77
- space group = No. 62
- total DFT energy (no corrections) (eV per atom) = -4.01
- crystal system = orthorhombic
........
Its main feature is its Cephalonian fir forest (Abies cephalonica), which is unique in the Ionian Islands. Abies cephalonica is a Greek endemic species, i.e. it occurs only in the Greek region. In particular, it occurs in Cephalonia, Evvia island and in mainland Greece from Peloponnesus to Mt. Olimbos and Mt. Athos, at an altitude of 600-1.600 m. The need to protect the Fir forest on Mt. Ainos, where it was described as a new species (locus classicus), as well as the phytogeographical importance of its presence in Cephalonia, constituted the main reasons that resulted in the declaration of Mt. Ainos as a National Park in 1962. In previous centuries, Cephalonian fir was an important tree species particularly after the 16th century. This fact lead to extensive woodcutting in the forest of Mt. Ainos-Mt. Roudi, as well as the inability to effectively control and put out fires that occurred in the area, threatened the survival of the Fir forest. As a result, its distribution area has been restricted to 1/4 of the initial one.
In recognition of its significance at the European level, the National Park has been designated as a European Biogenetic Reserve, belongs to the "Natura 2000" European Ecological Network of Protected Areas and is a Special Protected Area for the protection of the avifauna. It has also been declared as a Wildlife Reserve.
The number of flora species in the National Park of Ainos is estimated to be around 400. Of the eight known endemic species and subspecies of Cefalonia, the following three are exclusively endemic to the Forest:
Viola cephalonica Bornm: Appears at an altitude of 1.500-1.600 m and grows in limestone slits as well as in stony places. Its main spreading area is the area around the antennas at the position of Chionistra.
Scutellaria rupestris Boiss. & Heldr. subsp. cephalonica (Bornm.) Greuter & Burdet: Appears between 1.500-1.600 m and grows in rocky and stony limestone sites.
Ajuga orientalis subsp. aenesia (Heldr.) Phitos & Damboldt: Appears between 400-1.600 m and grows in calcareous, stony places.
More than 100 bird species have been recorded, one third of which are permanent residents of the National Park. The most important of them, as priority species, are the birds of prey Circaetus gallicus (Short-Toed Snake Eagle), Falco biarmicus (Lanner Falcon) and Pernis apivorus (European Honey Buzzard), as well as Alectoris graeca (Rock Partridge) and Emberiza caesia (Cretzschmar Bunting). Other birds to be encountered are: Buteo buteo (Common Buzzard), Falco tinnunculus (Common Kestrel), Athene noctua (Little Owl), Garullus glandarius (Eurasian Jay), Caprimulgus europaeus (Eurasian Nightjar), Upupa epops (Eurasian Hoopoe), Accipiter gentilis (Northerh hawk), Turdus sp. (Thrush species), Periparus ater (Coal Tit) etc. The presence of very important species, like Gyps fulvus (Griffon Vulture) and Dryocopus martius (Black Woodpecker) is rather doubtful today.
Due to the lack of the necessary humidity requirements, amphibians are not to notice in the National, perhaps with the exception of Bufo bufo (Common Toad). The reptiles to be found in the National Park during a visit are: Algyroides nigropunctatus subsp. kephallithacius, endemic of Cephalonia and Ithaca, Algyroides moreoticus (Greek Algyroides), an Ionian and Peloponnesus endemic, Podarcis taurica subsp. ionica (Balkan Wall Lizard), a Balkan endemic, Vipera ammodytes (Viper) etc.
The mammalian species that inhabit the National Park, are typical forest ecosystem species: Erinaceus roumanicus (Hedgehog), Apodemus sp. (feral Mice), Myoxus glis (Edible Dormouse), Rhinolophus sp. (Bats), Martes foina (Stone Marten) etc. It is also likely to come across individuals of Lepus europaeus (Hares). One of the most peculiar mammals of Mt. Ainos is the insectivore Talpa stankovici (Mole), which lives underground in an extensive network of burrows. It reveals its presence by surface soil mounds.
The National Park lacks large-bodied mammals. An important exception to this is the small herd of relatively short horses, Equus caballus that lives freely in semi-wild condition in the wider area of the Monastery of Zoodohos Pigi in the SE slopes of Mt. Ainos.